Evolution vs. Religion in Ohio Schools

A bill currently pending in the Ohio state legislature called “The Ohio Student Religious Liberties Act of 2019” has resulted in statements that, if it becomes law, students would be allowed to give “wrong” answers in class should scientific findings conflict with their religious beliefs. One opponent was quoted as saying that if a student gave a biblically based answer of 6,000 years as the age of the earth, a teacher would be forced to accept it. Others have made similar charges.

Data records, as found in the file.
********
Here is an optimized crystal structure of LiP2Pt from Alexandria. Energies are from PBE.

Cell and atoms, written as POSCAR:
```
LiP2Pt
1.0
0.000 3.071 3.071
3.071 0.000 3.071
3.071 3.071 0.000
Pt P Li
1 2 1
direct
0.500 0.500 0.500
0.250 0.250 0.250
0.750 0.750 0.750
0.000 0.000 0.000
```

Excess energy over the best structure of this formula in the dataset in eV/f.u.: 1.09
Energy of formation from the pure elements in eV per atom: -0.186
Crystal system: cubic
E in eV per formula unit: -19.519
Volume in Å³/cell: 57.9

***

Here is an optimized crystal structure of LiP2Pt from Alexandria. Energies are from PBE.

Cell and atoms, written as POSCAR:
```
LiP2Pt
1.0
-4.018 4.034 -2.260
-4.932 3.399 1.285
-2.145 5.718 0.472
Pt P Li
1 2 1
direct
0.250 0.250 0.250
0.983 0.983 0.983
0.517 0.517 0.517
0.750 0.750 0.750
```

Excess energy over the best structure of this formula in the dataset in eV/f.u.: 0.33
Energy of formation from the pure elements in eV per atom: -0.376
Crystal system: trigonal
E in eV per formula unit: -20.278
Volume in Å³/cell: 68.6

***

Here is an optimized crystal structure of Li2P2Pt5 from Alexandria. Energies are from PBE.

Cell and atoms, written as POSCAR:
```
Li2P2Pt5
1.0
-3.859 -3.126 0.516
-1.317 0.066 4.368
-6.345 4.036 2.560
Pt P Li
5 2 2
direct
0.064 0.351 0.371
0.566 0.847 0.356
0.000 0.000 0.000
0.434 0.153 0.644
0.936 0.649 0.629
0.843 0.064 0.739
0.157 0.936 0.261
0.649 0.521 0.135
0.351 0.479 0.865
```

Energy of formation from the pure elements in eV per atom: -0.553
Crystal system: triclinic
E in eV per formula unit: -49.833
Volume in Å³/cell: 141.0

***

Here is an optimized crystal structure of LiPPt2 from Alexandria. Energies are from PBE.

Cell and atoms, written as POSCAR:
```
LiPPt2
1.0
3.160 0.000 0.000
0.000 3.160 0.000
0.000 0.000 5.568
Li Pt P
1 2 1
direct
0.500 0.500 0.250
0.000 0.000 0.502
0.000 0.000 0.998
0.500 0.500 0.750
```

Energy of formation from the pure elements in eV per atom: -0.341
Crystal system: tetragonal
E in eV per formula unit: -20.768
Volume in Å³/cell: 55.6

***

Here is an optimized crystal structure of LiP2Pt from Alexandria. Energies are from PBE.

Cell and atoms, written as POSCAR:
```
LiP2Pt
1.0
5.402 -0.030 -0.376
4.054 3.570 -0.376
0.888 0.332 4.198
Pt P Li
1 2 1
direct
0.417 0.417 0.475
0.982 0.982 0.163
0.865 0.865 0.785
0.236 0.236 0.077
```

Excess energy over the best structure of this formula in the dataset in eV/f.u.: 0.03
Energy of formation from the pure elements in eV per atom: -0.451
Crystal system: monoclinic
E in eV per formula unit: -20.580
Volume in Å³/cell: 82.8

***

Here is an optimized crystal structure of LiPPt2 from Alexandria. Energies are from PBE.

Cell and atoms, written as POSCAR:
```
LiPPt2
1.0
-3.698 0.183 2.313
-2.568 -3.519 0.293
-0.319 -2.161 3.780
P Pt Li
1 2 1
direct
0.750 0.750 0.750
0.000 0.000 0.000
0.250 0.250 0.250
0.500 0.500 0.500
```

Energy of formation from the pure elements in eV per atom: -0.148
Crystal system: cubic
********

The purpose of the law, according to its sponsor, state representative Timothy Ginter, is “a clarification, of those liberties already afforded our students in the Constitution and [the bill] seeks to remove ambiguity for our schools who are often confused as to what students can and cannot do in regard to religious expression, by providing a pathway they can follow that keeps them within constitutional guidelines. Other sections in the proposed law guarantee students’ rights to participate in religious groups and to engage in religious expression. Opponents claim that because the rights the new law seeks to enforce are already guaranteed in the Constitution and elsewhere, the law is unnecessary.

# Misplaced data records
=====
(1)
Entry from Alexandria via LeMat-Bulk: a PBEsol-optimized structure of AgRuN2F (SCAN).

Cell lengths 3.9736, 3.9736, 3.9763 Å; angles 90.00, 90.00, 90.00 degrees
Space group P4/mmm (No. 123)
One atom of each set of equivalent atoms:
Ag: 0.0000 0.0000 0.0000 x1
Ru: 0.5000 0.5000 0.5000 x1
N: 0.0000 0.5000 0.0000 x2
F: 0.0000 0.0000 0.5000 x1

Calculated values
The excess energy over the best structure of this formula in the dataset comes out at 1411.9 meV per atom. The formation energy without anion corrections is 1.704 eV per atom. As for the uncorrected energy: -15.96 eV/atom. The density of states at the Fermi level is 0.574 states/eV per atom. As for the calculated density: 6.77 Mg/m³.

(2)
Entry from Alexandria via LeMat-Bulk: a PBEsol-optimized structure of ScAgNF2 (SCAN).

Cell lengths 3.7613, 3.7613, 6.5331 Å; angles 90.00, 90.00, 90.00 degrees
Space group P4/mmm (No. 123)
One atom of each set of equivalent atoms:
Sc: 0.0000 0.0000 0.0000 x1
Ag: 0.0000 0.0000 0.5000 x1
N: 0.5000 0.5000 0.0000 x1
F: 0.0000 0.5000 0.5000 x2

Calculated values
The formation energy without anion corrections is -0.305 eV per atom. As for the uncorrected energy: -12.70 eV/atom. The density of states at the Fermi level is 0.443 states/eV per atom. As for the calculated density: 3.68 Mg/m³.

(3)
Entry from Alexandria via LeMat-Bulk: a PBEsol-optimized structure of AgSeN2F (SCAN).

Cell lengths 3.9464, 3.9464, 5.4262 Å; angles 90.00, 90.00, 90.00 degrees
Space group P4/mmm (No. 123)
One atom of each set of equivalent atoms:
Ag: 0.0000 0.0000 0.0000 x1
Se: 0.0000 0.0000 0.5000 x1
N: 0.0000 0.5000 0.0000 x2
F: 0.5000 0.5000 0.5000 x1

Calculated values
The formation energy without anion corrections is 1.616 eV per atom. As for the uncorrected energy: -13.10 eV/atom. The density of states at the Fermi level is 0.573 states/eV per atom. As for the calculated density: 4.59 Mg/m³.

(4)
Entry from Alexandria via LeMat-Bulk: a PBEsol-optimized structure of SiAgN2F (SCAN).

Cell lengths 3.9832, 3.9832, 4.1926 Å; angles 90.00, 90.00, 90.00 degrees
Space group P4/mmm (No. 123)
One atom of each set of equivalent atoms:
Si: 0.0000 0.0000 0.0000 x1
Ag: 0.5000 0.5000 0.5000 x1
N: 0.0000 0.5000 0.5000 x2
F: 0.5000 0.5000 0.0000 x1

Calculated values
The formation energy without anion corrections is 1.410 eV per atom. As for the uncorrected energy: -11.29 eV/atom. The density of states at the Fermi level is 0.347 states/eV per atom. As for the calculated density: 4.57 Mg/m³.

(5)
Entry from Alexandria via LeMat-Bulk: a PBEsol-optimized structure of YAgNF2 (SCAN).

Cell lengths 4.1152, 4.1152, 4.2482 Å; angles 90.00, 90.00, 90.00 degrees
Space group P4/mmm (No. 123)
One atom of each set of equivalent atoms:
Y: 0.0000 0.0000 0.0000 x1
Ag: 0.5000 0.5000 0.5000 x1
N: 0.5000 0.5000 0.0000 x1
F: 0.0000 0.5000 0.5000 x2

Calculated values
=====

A photo looking through columns
Looking through the columns of the Ohio Statehouse, where the bill is currently pending (Photo by Paul Brady Photography/Shutterstock.com)

But does the bill really make it okay, as opponents also claim, to say that two plus two equals five, if it is a matter of religious belief? Ginter firmly denies it and a reading of its relevant section would seem to bear him out: “No school district board of education, governing authority of a community school … shall prohibit a student from engaging in religious expression in the completion of homework, artwork, or other written or oral assignments. Assignment grades and scores shall be calculated using ordinary academic standards of substance and relevance, including any legitimate pedagogical concerns, and shall not penalize or reward a student based on the religious content of a student’s work.” It appears abundantly clear that even though students may express their religious beliefs, they will all be judged on the same academic standards.

Of course, the biggest flash point between education and religion reflected in the squabble about the bill is not arithmetic but the origin of the human race—a controversy which has been going on for well over a century and is mentioned in most of the media about the bill. Current law forbids teaching any religious-based ideas concerning evolution or the origin of the human species (and, by the way, Ginter’s bill will not change that).

Wouldn’t it be better to allow people’s different views to be openly talked about and debated?

Two fairly recent surveys done of U.S. adults gave somewhat different results, but indicate that between 18 and 40 percent believe that God created Man and Earth in their current form a few thousand years ago and that evolution never took place. On the other extreme, the surveys (one done by the Gallup Poll in June of 2019 and the other by the Pew Research Center in April and May of 2018) also show 22 and 33 percent respectively believe that evolution took place without any divine intervention. In the middle are those who believe that evolution happens over a long period of time but it is guided by God or a higher power. What both surveys have in common is that they show most people believe that God or a higher power had something to do with the creation of human beings and most people also believe in evolution. So, maybe we are not as far apart on the subject as is sometimes claimed.

The Gallup Poll results, which had the 40 percent response for a complete denial of evolution, included a graph going back almost 40 years showing very little change in the percentage of people who fall into each category. That would seem to indicate that forcing several generations of students to study over the top of deep disagreements and suppressing other ideas has not produced much of a result. Many educators have made statements to the effect that they don’t care whether students actually accept evolution, just that they are taught about it and give the correct responses when tested.

But that raises an obvious question: why teach a student something you don’t intend that student to believe and use?

One’s beliefs about what we are and how we came to be here are deeply personal to most people. Enforced education that goes against points of such profound conviction will naturally generate resistance. Wouldn’t it be better to allow people’s different views to be openly talked about and debated?

I don’t know how something that cuts so deeply into our understanding of ourselves is not going to be controversial. 

It doesn’t help that those who believe the human race was created by something higher often have their religious beliefs assaulted by those who push the theory of evolution far beyond anything that can be demonstrated scientifically. It is all too commonplace to come across statements in the media to the effect of: “because of evolution, humans are hardwired to ______ (fill in the blank).” A bit of internet searching produces many such claims, like those made in a 2017 Scientific American article I found entitled, “Nasty, Brutish & Short: Are Humans DNA-wired to Kill?” The body of the article goes on to describe the work of a biologist who claims to have proven that humans are genetically designed for violence. He observes, for example, that our hands have evolved to easily make a fist. Yet he somehow doesn’t observe that our hands are far more frequently used in greeting each other, in the arts, in writing and other forms of communication, in healing the sick and many, many other peaceful activities. It seems that one could make a much better argument that the evolution of our hands shows that we are inherently nonviolent and so, despite his professional credentials, I can’t see anything in his work that qualifies as science.

== Misplaced crystal structures ==
<<<
The following is a DFT calculation (PBE) of an optimized crystal structure of Ta2TcAgAu.

```
data_Ta2TcAgAu
_chemical_formula_sum 'Ta2 Tc1 Ag1 Au1'
_cell_length_a 4.8286
_cell_length_b 4.8286
_cell_length_c 4.7636
_cell_angle_alpha 90.00
_cell_angle_beta 90.00
_cell_angle_gamma 90.00
_space_group_name_H-M_alt 'P 4/m m m'
_space_group_IT_number 123
_space_group_name_Hall '-P 4 2'
loop_
_atom_site_label
_atom_site_type_symbol
_atom_site_fract_x
_atom_site_fract_y
_atom_site_fract_z
_atom_site_occupancy
Ta1 Ta 0.0000 0.5000 0.0000 1
Tc1 Tc 0.0000 0.0000 0.5000 1
Ag1 Ag 0.0000 0.0000 0.0000 1
Au1 Au 0.5000 0.5000 0.5000 1
```

Summary:
total magnetization: 0.000 μB per atom
E_tot: -29.8 eV per formula unit

The following is a DFT calculation (PBE) of an optimized crystal structure of TaAg2WAu.

```
data_TaAg2WAu
_chemical_formula_sum 'Ta1 Ag2 W1 Au1'
_cell_length_a 4.9222
_cell_length_b 4.9222
_cell_length_c 4.8962
_cell_angle_alpha 90.00
_cell_angle_beta 90.00
_cell_angle_gamma 90.00
_space_group_name_H-M_alt 'P 4/m m m'
_space_group_IT_number 123
_space_group_name_Hall '-P 4 2'
loop_
_atom_site_label
_atom_site_type_symbol
_atom_site_fract_x
_atom_site_fract_y
_atom_site_fract_z
_atom_site_occupancy
Ta1 Ta 0.0000 0.0000 0.0000 1
Ag1 Ag 0.0000 0.5000 0.5000 1
W1 W 0.5000 0.5000 0.5000 1
Au1 Au 0.5000 0.5000 0.0000 1
```

Summary:
total magnetization: 0.000 μB per atom
energy above the most stable polymorph in this dataset: 175 meV per atom

The following is a DFT calculation (PBE) of an optimized crystal structure of TaAg2WAu.

```
data_TaAg2WAu
_chemical_formula_sum 'Ta1 Ag2 W1 Au1'
_cell_length_a 4.8436
_cell_length_b 4.8436
_cell_length_c 4.9634
_cell_angle_alpha 90.00
_cell_angle_beta 90.00
_cell_angle_gamma 90.00
_space_group_name_H-M_alt 'P 4/m m m'
_space_group_IT_number 123
_space_group_name_Hall '-P 4 2'
loop_
_atom_site_label
_atom_site_type_symbol
_atom_site_fract_x
_atom_site_fract_y
_atom_site_fract_z
_atom_site_occupancy
Ta1 Ta 0.0000 0.0000 0.0000 1
Ag1 Ag 0.0000 0.5000 0.5000 1
W1 W 0.5000 0.5000 0.0000 1
Au1 Au 0.5000 0.5000 0.5000 1
```

Summary:
total magnetization: 0.000 μB per atom
energy above the most stable polymorph in this dataset: 0 meV per atom

The following is a DFT calculation (PBE) of an optimized crystal structure of Tb3Ag2Au6.

```
data_Tb3Ag2Au6
_chemical_formula_sum 'Tb6 Ag4 Au12'
_cell_length_a 4.1976
_cell_length_b 4.1976
_cell_length_c 27.4827
_cell_angle_alpha 90.00
_cell_angle_beta 90.00
_cell_angle_gamma 90.00
_space_group_name_H-M_alt 'I 4/m m m'
_space_group_IT_number 139
_space_group_name_Hall '-I 4 2'
loop_
_atom_site_label
_atom_site_type_symbol
_atom_site_fract_x
_atom_site_fract_y
_atom_site_fract_z
_atom_site_occupancy
Tb1 Tb 0.0000 0.0000 0.0000 1
Tb2 Tb 0.0000 0.0000 0.2016 1
Ag1 Ag 0.0000 0.0000 0.4522 1
Au1 Au 0.0000 0.0000 0.3095 1
Au2 Au 0.0000 0.5000 0.1146 1
```

Summary:
total magnetization: 0.000 μB per atom
E_tot: -44.6 eV per formula unit
>>>

To be sure, there are many scientists who would not agree that evolution dooms us to be violent, intolerant, racist and tribalistic. Still, there are too many instances such as the above in which evolution is put forward to support an unprovable assumption about human nature, making it inevitable that evolution will collide with deeply held beliefs and make it difficult or “controversial” to learn.

Skulls demonstrating the theory of evolution (Photo by JuliusKielaitis/Shutterstock.com)

It is very evident to me as a Scientologist that we are spiritual beings who have the ability to transcend any behavior pattern that we may be compelled to act out. Further, there is more to this thing called life than just physical form. So, while I accept evolution as far as it goes, I think it is considerably less than a full explanation of what makes us what we are. Nor does it explain all of life’s complex interrelationships. Every religion that I know of and many philosophies hold that, through some combination of faith, self-discipline, counseling, enlightenment and moral and ethical education, we can rise to greater heights rather than being limited by our DNA. It is very easy to observe many people who have done so in the world around us. Isn’t universal public education founded on that very premise? Yet evolution doesn’t really explain why we can change ourselves for the better on our own free will—or why we should want to.

On the other hand, there is much about evolution that people should know. For example, disease-causing microbes evolve very quickly and, after a number of generations, develop resistance to antibiotics. Knowing the principles of natural selection and evolution has helped scientists understand this phenomenon and work out some solutions. That is valuable knowledge for high school students who, in a few years, will be responsible for keeping their own children healthy as well as themselves. There are many other ways in which evolution is a useful, practical field which can be demonstrated to be true regardless of one’s views of God or whether evolution has been occurring for many millions of years or only a few thousand.

That being said, I don’t know how something that cuts so deeply into our understanding of ourselves is not going to be controversial. Without claiming any expertise in the field of education, it seems to make a lot more sense to me to allow a wide, open discussion of the different ideas about how the human race came to be and why those ideas matter to people, while differentiating between what can be scientifically demonstrated and what is a matter of belief. It certainly seems a lot better than using classroom time to force certain students to absorb information they are never going to accept. Nevertheless, it doesn’t seem like change is coming any time soon. In the meantime, I don’t see any harm in the logic behind the Ohio Student Religious Liberties Act, which could help protect the rights of some students. But let’s not look at it as anything more than a stopgap, and let’s work for a day when we are sufficiently grown up and tolerant to be able to talk about such things as evolution, openly and completely.  

Jeffrey Murphy
Paralegal, researcher & amateur historian.